Given:
┌──
Entry 1:
{"formula": "Te2MoW3Se4S2", "functional": "PBE", "state": "relaxed", "formation_energy_ev_per_atom": -0.557, "lattice_angstrom": [[-1.259, 2.472, 1.869], [-1.386, -3.043, 0.098], [23.329, -9.706, 28.550]], "species": ["W", "W", "W", "S", "S", "Se", "Se", "Se", "Se", "Te", "Te", "Mo"], "frac_coords": [[0.333, 0.667, 0.282], [0.000, 0.000, 0.470], [0.333, 0.667, 0.658], [0.333, 0.667, 0.134], [0.333, 0.667, 0.054], [0.000, 0.000, 0.326], [0.000, 0.000, 0.238], [0.333, 0.667, 0.426], [0.333, 0.667, 0.514], [0.000, 0.000, 0.708], [0.000, 0.000, 0.608], [0.000, 0.000, 0.094]]}

***

Entry 2:
{"formula": "TeMoWSe2S", "functional": "PBE", "state": "relaxed", "formation_energy_ev_per_atom": -0.587, "lattice_angstrom": [[1.673, -2.897, 0.000], [1.673, 2.897, 0.000], [0.000, 0.000, 39.746]], "species": ["W", "W", "Se", "Se", "Se", "Se", "Te", "Te", "Mo", "Mo", "S", "S"], "frac_coords": [[0.667, 0.333, 0.658], [0.333, 0.667, 0.469], [0.333, 0.667, 0.323], [0.333, 0.667, 0.616], [0.333, 0.667, 0.701], [0.333, 0.667, 0.239], [0.667, 0.333, 0.517], [0.667, 0.333, 0.421], [0.333, 0.667, 0.094], [0.667, 0.333, 0.281], [0.667, 0.333, 0.056], [0.667, 0.333, 0.132]]}

***

Mass density for every record listed, in sequence, given in g/cm3: 5.8; 5.2.

~~~~~

Record 1
DFT (GGA+U) results for an optimized crystal structure of RbMgInMo2O8.

Results
space group	P3m1
formation energy	-42.60	kcal/mol of atoms
MP2020-corrected energy	-0.51236	Ry per atom
crystal system	trigonal
energy	-6.06	eV/atom
total magnetic moment	2.00	μB per formula unit
energy above the lowest structure with this stoichiometry	3	meV/atom

Cell lengths 5.933, 5.933, 10.407 Å; angles 90.00, 90.00, 120.00 degrees
Element x y z (fractional)
Rb: 0.000 0.000 0.000
Mg: 0.000 0.000 0.366
In: 0.000 0.000 0.628
Mo: 0.333 0.667 0.812
Mo: 0.667 0.333 0.426
O: 0.165 0.330 0.761
O: 0.165 0.835 0.761
O: 0.307 0.154 0.482
O: 0.333 0.667 0.981
O: 0.667 0.333 0.253
O: 0.670 0.835 0.761
O: 0.846 0.154 0.482
O: 0.846 0.693 0.482

Record 2
DFT (GGA+U) results for an optimized crystal structure of SrMgInWO6.

Results
space group	F-43m
formation energy	-56.10	kcal/mol of atoms
MP2020-corrected energy	-0.53663	Ry per atom
crystal system	cubic
energy	-6.45	eV/atom
total magnetic moment	0.00	μB per formula unit

Cell lengths 5.659, 5.659, 5.659 Å; angles 60.00, 60.00, 60.00 degrees
Element x y z (fractional)
Sr: 0.000 0.000 0.000
Mg: 0.250 0.250 0.250
In: 0.500 0.500 0.500
W: 0.750 0.750 0.750
O: 0.507 0.507 0.993
O: 0.507 0.993 0.507
O: 0.507 0.993 0.993
O: 0.993 0.507 0.507
O: 0.993 0.507 0.993
O: 0.993 0.993 0.507

Record 3
DFT (GGA+U) results for an optimized crystal structure of MgIn6WO12.

Results
space group	R-3
formation energy	-47.01	kcal/mol of atoms
MP2020-corrected energy	-0.48220	Ry per atom
crystal system	trigonal
energy	-5.93	eV/atom
total magnetic moment	1.85	μB per formula unit
energy above the lowest structure with this stoichiometry	0	meV/atom

Cell lengths 6.423, 6.423, 6.423 Å; angles 91.54, 91.54, 91.54 degrees
Element x y z (fractional)
Mg: 0.000 0.000 0.000
In: 0.055 0.574 0.760
In: 0.240 0.945 0.426
In: 0.426 0.240 0.945
In: 0.574 0.760 0.055
In: 0.760 0.055 0.574
In: 0.945 0.426 0.240
W: 0.500 0.500 0.500
O: 0.046 0.901 0.690
O: 0.099 0.309 0.954
O: 0.197 0.578 0.430
O: 0.310 0.954 0.099
O: 0.422 0.570 0.803
O: 0.430 0.197 0.578
O: 0.570 0.803 0.422
O: 0.578 0.430 0.197
O: 0.690 0.046 0.901
O: 0.803 0.422 0.570
O: 0.901 0.690 0.046
O: 0.954 0.099 0.309

Record 4
DFT (GGA+U) results for an optimized crystal structure of MgIn6WO12.

Results
space group	R3
formation energy	-46.48	kcal/mol of atoms
MP2020-corrected energy	-0.48053	Ry per atom
crystal system	trigonal
energy	-5.90	eV/atom
total magnetic moment	1.01	μB per formula unit
energy above the lowest structure with this stoichiometry	23	meV/atom

Cell lengths 6.459, 6.459, 6.459 Å; angles 92.01, 92.01, 92.01 degrees
Element x y z (fractional)
Mg: 0.000 0.000 0.000
In: 0.180 0.673 0.489
In: 0.181 0.449 0.953
└──
Wanted:
It remains to type out all of the contents earlier on without additions.
Worked solution:
Entry 1:
{"formula": "Te2MoW3Se4S2", "functional": "PBE", "state": "relaxed", "formation_energy_ev_per_atom": -0.557, "lattice_angstrom": [[-1.259, 2.472, 1.869], [-1.386, -3.043, 0.098], [23.329, -9.706, 28.550]], "species": ["W", "W", "W", "S", "S", "Se", "Se", "Se", "Se", "Te", "Te", "Mo"], "frac_coords": [[0.333, 0.667, 0.282], [0.000, 0.000, 0.470], [0.333, 0.667, 0.658], [0.333, 0.667, 0.134], [0.333, 0.667, 0.054], [0.000, 0.000, 0.326], [0.000, 0.000, 0.238], [0.333, 0.667, 0.426], [0.333, 0.667, 0.514], [0.000, 0.000, 0.708], [0.000, 0.000, 0.608], [0.000, 0.000, 0.094]]}

***

Entry 2:
{"formula": "TeMoWSe2S", "functional": "PBE", "state": "relaxed", "formation_energy_ev_per_atom": -0.587, "lattice_angstrom": [[1.673, -2.897, 0.000], [1.673, 2.897, 0.000], [0.000, 0.000, 39.746]], "species": ["W", "W", "Se", "Se", "Se", "Se", "Te", "Te", "Mo", "Mo", "S", "S"], "frac_coords": [[0.667, 0.333, 0.658], [0.333, 0.667, 0.469], [0.333, 0.667, 0.323], [0.333, 0.667, 0.616], [0.333, 0.667, 0.701], [0.333, 0.667, 0.239], [0.667, 0.333, 0.517], [0.667, 0.333, 0.421], [0.333, 0.667, 0.094], [0.667, 0.333, 0.281], [0.667, 0.333, 0.056], [0.667, 0.333, 0.132]]}

***

Mass density for every record listed, in sequence, given in g/cm3: 5.8; 5.2.

~~~~~

Record 1
DFT (GGA+U) results for an optimized crystal structure of RbMgInMo2O8.

Results
space group	P3m1
formation energy	-42.60	kcal/mol of atoms
MP2020-corrected energy	-0.51236	Ry per atom
crystal system	trigonal
energy	-6.06	eV/atom
total magnetic moment	2.00	μB per formula unit
energy above the lowest structure with this stoichiometry	3	meV/atom

Cell lengths 5.933, 5.933, 10.407 Å; angles 90.00, 90.00, 120.00 degrees
Element x y z (fractional)
Rb: 0.000 0.000 0.000
Mg: 0.000 0.000 0.366
In: 0.000 0.000 0.628
Mo: 0.333 0.667 0.812
Mo: 0.667 0.333 0.426
O: 0.165 0.330 0.761
O: 0.165 0.835 0.761
O: 0.307 0.154 0.482
O: 0.333 0.667 0.981
O: 0.667 0.333 0.253
O: 0.670 0.835 0.761
O: 0.846 0.154 0.482
O: 0.846 0.693 0.482

Record 2
DFT (GGA+U) results for an optimized crystal structure of SrMgInWO6.

Results
space group	F-43m
formation energy	-56.10	kcal/mol of atoms
MP2020-corrected energy	-0.53663	Ry per atom
crystal system	cubic
energy	-6.45	eV/atom
total magnetic moment	0.00	μB per formula unit

Cell lengths 5.659, 5.659, 5.659 Å; angles 60.00, 60.00, 60.00 degrees
Element x y z (fractional)
Sr: 0.000 0.000 0.000
Mg: 0.250 0.250 0.250
In: 0.500 0.500 0.500
W: 0.750 0.750 0.750
O: 0.507 0.507 0.993
O: 0.507 0.993 0.507
O: 0.507 0.993 0.993
O: 0.993 0.507 0.507
O: 0.993 0.507 0.993
O: 0.993 0.993 0.507

Record 3
DFT (GGA+U) results for an optimized crystal structure of MgIn6WO12.

Results
space group	R-3
formation energy	-47.01	kcal/mol of atoms
MP2020-corrected energy	-0.48220	Ry per atom
crystal system	trigonal
energy	-5.93	eV/atom
total magnetic moment	1.85	μB per formula unit
energy above the lowest structure with this stoichiometry	0	meV/atom

Cell lengths 6.423, 6.423, 6.423 Å; angles 91.54, 91.54, 91.54 degrees
Element x y z (fractional)
Mg: 0.000 0.000 0.000
In: 0.055 0.574 0.760
In: 0.240 0.945 0.426
In: 0.426 0.240 0.945
In: 0.574 0.760 0.055
In: 0.760 0.055 0.574
In: 0.945 0.426 0.240
W: 0.500 0.500 0.500
O: 0.046 0.901 0.690
O: 0.099 0.309 0.954
O: 0.197 0.578 0.430
O: 0.310 0.954 0.099
O: 0.422 0.570 0.803
O: 0.430 0.197 0.578
O: 0.570 0.803 0.422
O: 0.578 0.430 0.197
O: 0.690 0.046 0.901
O: 0.803 0.422 0.570
O: 0.901 0.690 0.046
O: 0.954 0.099 0.309

Record 4
DFT (GGA+U) results for an optimized crystal structure of MgIn6WO12.

Results
space group	R3
formation energy	-46.48	kcal/mol of atoms
MP2020-corrected energy	-0.48053	Ry per atom
crystal system	trigonal
energy	-5.90	eV/atom
total magnetic moment	1.01	μB per formula unit
energy above the lowest structure with this stoichiometry	23	meV/atom

Cell lengths 6.459, 6.459, 6.459 Å; angles 92.01, 92.01, 92.01 degrees
Element x y z (fractional)
Mg: 0.000 0.000 0.000
In: 0.180 0.673 0.489
In: 0.181 0.449 0.953